游泳時適當拉力的完美練習對於快速、高效的自由泳和所有泳姿至關重要。 教練 Matt Kredich 解釋了為什麼他使用 Vasa Swim Ergs 和 Vasa Trainers 來教游泳者理想的高肘抓握和正確的手部姿勢,以充分利用背闊肌和背部肌肉,這對於在水中發展強大的推進力至關重要。 學習如何在長凳上調整身體姿勢,以獲得更好的水上「抓地力」,並避免在水中游泳時滑倒、肘部下垂和穿過中線等常見的自由泳錯誤。 自 1988 年以來,Vasa 一直為運動、健身和康復生產優質的訓練設備。 幾十年來,世界各地的奧運級別游泳運動員、游泳教練、鐵人三項運動員、鐵人三項教練和旱地體能教練都選擇了 Vasa Trainer 和 Vasa Ergometer,以顯著提高游泳運動員、鐵人三項運動員、衝浪運動員、SUP 槳手、皮划艇運動員、北歐滑雪運動員的表現,以及那些尋求全身健身的人。 讓我們做點偉大的事情吧! 網站:Facebook:Twitter:語音:1.802.872.7101 電子郵件:[email protected]
標籤Kredich Matt Trainer Vasa Trainer 談正確的游泳姿勢抓和拉英語Vasa 馬特克雷迪奇
Coach Kredich, thank you for the informative presentation. Good stuff! I would offer only two small points of interest as it relates to Maritza's (sp?) demonstrations. (Please accept my apologies if I've misspelled her name).
********
For TbPm2HoTl4, a cell relaxed with GGA-PBE gives the theoretical powder diffraction line list in this record (a wavelength of 1.5418 Å).

Crystal structure
Lattice parameters (Å, degrees): 9.411 9.411 9.411 33.50 33.50 33.50
Sites, in units of the cell vectors:
Tb1 0.000 0.000 0.000
Pm1 0.250 0.250 0.250
Pm2 0.750 0.750 0.750
Ho1 0.500 0.500 0.500
Tl1 0.125 0.125 0.125
Tl2 0.375 0.375 0.375
Tl3 0.625 0.625 0.625
Tl4 0.875 0.875 0.875

Top 8 peaks for 10° ≤ 2θ ≤ 90°, in order of rising 2θ:
Position (°2θ), I/Imax
23.17, 2
33.00, 100
47.37, 18
58.94, 39
69.23, 12
78.86, 17
88.04, 1
88.21, 3



For NaRe2Pd, a cell relaxed with GGA-PBE gives the theoretical powder diffraction line list in this record (a wavelength of 1.5418 Å).

Crystal structure
Lattice parameters (Å, degrees): 5.976 5.976 5.976 99.52 99.52 132.02
Sites, in units of the cell vectors:
Na1 0.000 0.000 0.000
Na2 0.750 0.250 0.500
Re1 0.170 0.625 0.045
Re2 0.375 0.420 0.545
Re3 0.580 0.125 0.955
Re4 0.875 0.830 0.455
Pd1 0.250 0.750 0.500
Pd2 0.500 0.500 0.000

Top 8 peaks for 10° ≤ 2θ ≤ 90°, in order of rising 2θ:
Position (°2θ), I/Imax
21.61, 36
23.04, 51
32.81, 100
40.65, 81
46.33, 38
47.08, 29
52.36, 22
53.18, 56



For DyHoCo, a cell relaxed with GGA-PBE gives the theoretical powder diffraction line list in this record (a wavelength of 1.5418 Å).

Crystal structure
Lattice parameters (Å, degrees): 5.674 3.755 7.031 90.00 95.38 90.00
Sites, in units of the cell vectors:
Dy1 0.179 0.250 0.323
Dy2 0.821 0.750 0.677
Ho1 0.346 0.250 0.832
Ho2 0.654 0.750 0.168
Co1 0.133 0.750 0.041
Co2 0.867 0.250 0.959

Top 8 peaks for 10° ≤ 2θ ≤ 90°, in order of rising 2θ:
Position (°2θ), I/Imax
28.55, 100
30.70, 47
31.30, 46
33.07, 46
35.05, 96
35.37, 33
37.56, 36
48.49, 32



For Be13Re2, a cell relaxed with GGA-PBE gives the theoretical powder diffraction line list in this record (a wavelength of 1.5418 Å).

Crystal structure
Lattice parameters (Å, degrees): 6.346 6.346 6.346 57.67 57.67 57.67
Sites, in units of the cell vectors:
Be1 0.000 0.000 0.000
Be2 0.010 0.010 0.657
Be3 0.010 0.657 0.010
Be4 0.226 0.226 0.615
Be5 0.226 0.615 0.226
Be6 0.343 0.990 0.990
Be7 0.385 0.774 0.774
Be8 0.615 0.226 0.226
Be9 0.657 0.010 0.010
Be10 0.774 0.385 0.774
Be11 0.774 0.774 0.385
Be12 0.990 0.343 0.990
Be13 0.990 0.990 0.343
Re1 0.237 0.237 0.237
Re2 0.763 0.763 0.763

Top 8 peaks for 10° ≤ 2θ ≤ 90°, in order of rising 2θ:
Position (°2θ), I/Imax
20.17, 100
28.16, 38
29.18, 43
35.73, 25
40.99, 17
45.41, 21
46.77, 23
51.11, 21


Starting from a DFT-relaxed cell (GGA+U, Alexandria), the powder X-ray diffraction pattern of FeP3O9 was computed for CuKα.

Structure:
```
data_FeP3O9
_chemical_formula_sum 'Fe2 P6 O18'
_cell_length_a 6.7128
_cell_length_b 6.8843
_cell_length_c 7.3600
_cell_angle_alpha 102.00
_cell_angle_beta 93.21
_cell_angle_gamma 93.72
_symmetry_space_group_name_H-M 'P -1'
_symmetry_Int_Tables_number 2
_symmetry_space_group_name_Hall '-P 1'
loop_
_atom_site_label
_atom_site_type_symbol
********
First, she is not using the power paddles as they were originally conceived by me and intended to be used, in that she's essentially positioned her hand as though they were the "normal" length original Vasa paddles. To use these paddles correctly and thus receive the benefits of them, she would need to fully "insert" her hand in and tighten the rubber tubing over the top of the middle of the hand/fingers, such that the ends of the fingers are completely free to relax while the higher portion of the paddle rests directly on the heel of the hand, just above the wrist. This results in a more comfortable position and correctly engages in the "power y" position as noted by Karlyn Pipes, who was the first person to help me see and appreciate the value of this.
Second, I would respectfully submit that it appeared that she was demonstrating a bit more dropped elbow through the pull or power phase than I would have expected given that, as I understand it, it was your intention that she demonstrate high elbow biomechanics. There in lies a huge challenge for any swim coach: in order to get the swimmers we have influence over to fully appreciate subtle changes in stroke mechanics, we must demonstrate it exactly as it should be done. A small point perhaps, but this is my perception while watching…
Your tips and emphasis on posture was great, extremely important, and in my opinion, very much under rated by most coaches. It is my experience that not only in swimming but any and all human movement and sport, poor posture that often results from lifestyle or imbalance (from a muscle length perspective – such as with tight hip flexors pulling the swimmer into an anterior tilt with subsequent stress on the low back) can lead to injury and an inability to generate maximum power or loss of efficiency. As you pointed out, lengthening the spine and drawing the head into a "chin tuck", as well as squeezing the glutes to create a posterior tilt, all create better integration and take load off of the low back and neck. A healthier as well as more powerful swimmer.
Anyway, thanks again. Very informative and valuable for any swim coach or user of the Erg!